'''
A plane-wave DFT calculation with PBE+U was carried out for a relaxed LiVTeW2O12 crystal.

Calculated values
**Largest piezoelectric modulus**: 5.85 C/m2
**Total DFT energy (no corrections)**: -114.799 eV for the cell shown
**Formation enthalpy at 0 K**: -2011 meV per atom

Cell lengths 5.1516, 5.3461, 7.4761 Å; angles 86.99, 89.81, 89.51 degrees
Last column: nearest neighbours and their distance in Å.
Space group P1 (No. 1)
Unique sites:
Li (0.0000, 0.0000, 0.0000) x1  3 O 1.98-2.02
V (0.0055, 0.5615, 0.8022) x1  3 O 1.73-1.81
Te (0.4968, 0.0268, 0.2696) x1  6 O 1.92-1.95
W (0.0029, 0.5231, 0.2998) x1  4 O 1.78-1.96
W (0.5011, 0.0612, 0.7617) x1  4 O 1.80-1.98
O (0.0998, 0.5273, 0.5285) x1  1 W 1.78
O (0.1896, 0.8359, 0.2126) x1  1 Te 1.95, 1 W 2.01, 1 Li 2.02
O (0.1944, 0.2240, 0.8291) x1  1 W 1.88, 1 Li 1.98, 1 V 2.04
O (0.2845, 0.7354, 0.8254) x1  1 V 1.73
O (0.2988, 0.3288, 0.2165) x1  1 Te 1.93, 1 W 1.96
O (0.3909, 0.0273, 0.5181) x1  1 W 1.93, 1 Te 1.93
O (0.6188, 0.0250, 0.0257) x1  1 Te 1.93, 1 Li 1.98, 1 W 2.07
O (0.6938, 0.7265, 0.3286) x1  1 Te 1.92, 1 W 1.94
O (0.7038, 0.3310, 0.7257) x1  1 W 1.80
O (0.7941, 0.8241, 0.7390) x1  1 V 1.81, 1 W 1.98
O (0.7989, 0.2241, 0.3263) x1  1 W 1.92, 1 Te 1.95
O (0.9093, 0.5338, 0.0257) x1  1 V 1.74
'''

The reader should work out how many lines above have the word "Total" in them; a number is enough.

1